== Work order ==
Your job: work out how many lines underneath have the word "charge" in them; a number is enough.

== Contents ==
=====
Entry 1:
190
Properties=species:S:1:pos:R:3:mulliken_charge:R:1 method="wB97M-V/def2-TZVPD" de_lowest_kcal_mol=2110.3 lumo_energy_ha=-0.3129 multiplicity=1 homo_lumo_gap_ev=8.7 charge=+4 homo_ev=-17.25 fmax_ev_per_a=18.0
C 6.8007 -1.3570 2.2070 -1.58
C 5.6295 -0.4708 1.7532 0.04
C 4.8055 -1.0400 0.6182 -1.23
N 3.3929 -0.3300 0.3401 2.04
C 2.6705 -0.9782 -0.8293 -1.04
C 3.4139 -0.7371 -2.1376 -0.26
C 3.4539 0.7320 -2.4137 -0.63
C 4.1212 1.5300 -1.2685 -0.37
C 3.3942 1.1965 0.1121 -0.09
C 2.4205 -0.5499 1.4482 -1.44
H 6.4778 -2.2503 2.7416 0.40
H 7.4511 -0.8059 2.8862 0.41
H 7.4051 -1.7917 1.4108 0.37
H 5.9808 0.5481 1.5906 0.28
H 4.9403 -0.4924 2.5974 0.05
H 4.6024 -2.0927 0.8149 0.21
H 5.3319 -1.0193 -0.3360 0.87
H 2.6015 -2.0658 -0.8086 0.12
H 1.6737 -0.5661 -0.9867 -0.20
H 4.3326 -1.3236 -2.1279 0.50
H 2.9118 -1.1546 -3.0104 -0.66
H 3.9115 0.9537 -3.3779 0.82
H 2.4152 1.0623 -2.4197 -2.22
H 5.1957 1.4006 -1.1385 0.58
H 3.9642 2.5951 -1.4386 -0.20
H 3.9606 1.6476 0.9268 0.93
H 2.4261 1.6863 0.0075 -0.08
H 2.9024 -0.2416 2.3761 0.44
H 2.2820 -1.6232 1.5785 0.44
H 1.5511 0.0396 1.1574 1.04
C -2.1270 3.7147 0.2596 -0.87
C -1.2176 2.7583 1.0499 -0.09
C -1.5874 2.8150 2.6061 -1.16
N -0.5631 2.0362 3.5248 0.60
C -1.1562 1.6551 4.8790 -0.36
C -0.2362 0.7602 5.8068 -0.93
C 0.1662 -0.4114 4.9667 -0.62
C 0.8629 -0.1100 3.5956 0.52
C -0.0396 0.7578 2.8374 -0.85
C 0.7221 2.8812 3.6791 -0.90
H -1.8530 3.6266 -0.7918 0.19
H -2.1785 4.7878 0.4441 0.39
H -3.1637 3.4172 0.4174 0.74
H -0.1694 3.0133 0.8937 -0.51
H -1.2161 1.7265 0.6988 0.25
H -2.6107 2.4957 2.8035 0.46
H -1.5336 3.8004 3.0689 0.54
H -2.1157 1.2430 4.5664 0.35
H -1.2998 2.5259 5.5187 0.44
H -0.6978 0.4173 6.7328 0.60
H 0.6043 1.2457 6.3027 0.44
H -0.6902 -1.0472 4.7423 0.27
H 0.8434 -1.0623 5.5197 0.41
H 1.2271 -1.0419 3.1632 -0.71
H 1.8034 0.4408 3.6131 0.74
H -0.9230 0.3502 2.3459 0.43
H 0.6200 1.0339 2.0148 0.66
H 1.4775 2.2798 4.1849 0.63
H 0.4083 3.6191 4.4174 0.79
H 0.9702 3.1161 2.6440 -0.70
C -1.6085 -5.6666 4.5177 -1.39
C -1.9375 -4.9863 3.1849 -0.14
C -1.2155 -3.5378 3.1904 -0.93
N -1.5321 -2.8620 1.8131 1.14
C -1.0120 -1.3920 1.7823 -1.29
C 0.5273 -1.4614 1.8014 0.68
C 1.0396 -2.1231 0.5364 0.39
C 0.5136 -3.5768 0.4878 -0.87
C -1.0560 -3.4886 0.5390 -0.30
C -3.1281 -2.6071 1.6061 -0.99
H -2.0586 -5.0163 5.2678 0.38
H -0.5556 -5.7547 4.7856 0.33
H -1.9685 -6.6841 4.6698 0.39
H -3.0038 -4.7665 3.1319 0.22
H -1.6307 -5.5817 2.3250 0.34
H -0.1505 -3.7181 3.3368 0.49
H -1.4548 -2.8506 4.0019 0.61
H -1.3734 -0.9631 2.7170 0.49
H -1.2411 -0.7768 0.9122 0.20
H 0.9510 -1.7137 2.7734 0.24
H 0.9099 -0.4409 1.8146 -1.53
H 2.1117 -2.0330 0.7113 0.24
H 0.8686 -1.6473 -0.4293 -0.27
H 0.9078 -4.1636 1.3174 0.44
H 0.8128 -4.1135 -0.4125 0.74
H -1.3454 -4.5395 0.5328 0.81
H -1.4537 -2.9851 -0.3421 -0.27
H -3.3772 -1.6944 1.0648 -1.57
H -3.4591 -2.4108 2.6259 0.37
H -3.6114 -3.4643 1.1373 0.71
C -1.5105 -0.4838 -2.8921 -0.42
C -2.6167 0.3933 -2.2363 0.17
C -3.5124 -0.3655 -1.2466 -0.64
N -4.4067 0.4950 -0.3321 0.40
C -3.6286 1.1421 0.8618 -0.55
C -3.1699 0.1545 1.8722 1.47
C -4.3276 -0.7040 2.4483 -0.46
C -5.1693 -1.4092 1.3703 0.07
C -5.6342 -0.4006 0.1944 -0.76
C -5.0489 1.6531 -1.0743 -1.11
H -1.1350 0.0518 -3.7640 0.50
H -1.9989 -1.3371 -3.3626 -0.26
H -0.8882 -0.7782 -2.0470 -1.11
H -3.2370 0.8433 -3.0115 1.09
H -2.1372 1.2116 -1.6993 -1.09
H -2.9844 -1.0202 -0.5533 -0.16
H -4.1378 -1.1102 -1.7388 1.12
H -2.7931 1.7643 0.5410 -0.50
H -4.3124 1.8698 1.2986 1.28
H -2.4089 -0.3930 1.3161 -0.29
H -2.6360 0.6616 2.6758 -1.12
H -3.8615 -1.4706 3.0674 0.32
H -5.0292 -0.1860 3.1022 0.39
H -4.6100 -2.2285 0.9185 0.00
H -6.0033 -1.8378 1.9260 0.53
H -6.1418 -1.0068 -0.5559 0.42
H -6.3031 0.3681 0.5813 0.45
H -5.7477 2.2279 -0.4666 0.46
H -5.5059 1.1667 -1.9360 0.45
H -4.3194 2.3787 -1.4342 0.32
C -3.8420 -3.8299 -5.8620 -1.48
C -3.0733 -3.2096 -4.6994 -0.21
C -1.6031 -3.6748 -4.7949 -0.91
N -0.4830 -2.7609 -4.0950 0.91
C -0.6038 -2.8075 -2.5131 -2.06
C 0.5017 -2.1571 -1.6659 1.24
=====

== Done ==
1